Thursday, February 26, 2009

I ain't afraid of no ghosts!!

So, I’ve been chatting with my good buddy Cecilia today about myths, legends, and scary stories. This was all brought on because I spent the weekend in Gallup visiting my family…and everybody knows there are skinwalkers in Gallup! Let me back up about 20 some years. Growing up whenever we would get together with our all of our cousins my Uncle would always tell us scary stories (this is the same uncle that told us that we had to eat our vegetables so that our boobies would grow…no joke). Not just scary stories, very elaborate scary stories complete with props (okay so maybe the eyeballs were just olives but in the dark when you are an 8 year old chicken, it is very convincing). My cousin Brian picked up right where his dad left off when all the grown ups left. Who can forget the timeless classic of “Jooooohnny…I want my liver back!” (If you don’t know this one, trust me, you’re not missing out) Looking back I realize the stupidity of these stories. However, to this day I refuse to watch scary movies…even the lame ones (I watched the Ring 2 with some friends and even as completely stupid as it was, I had a tough time driving home by myself!!) So, being back in Gallup reminded me of all my irrational fears…which I dealt with by trying to scare my sister with tales of skinwalkers (she totally is not the weenie that I am and my scare tactics didn’t work…but I managed to freak myself out just a little…okay a lot).
Well all of this has gotten me thinking about the scary stories from our childhood. Cecilia and I were talking about La Llorona which is a classic here in Northern New Mexico (and all around the world, especially Kansas City according to Wikipedia). My parents never told us that La Llorona was going to get us, as I have heard other people tell their kids (thank goodness, could you imagine what a lunatic I would be if they had…my mom did tell me that the dogs would get me whenever I would try to run away…which was surprisingly often…and I’m still afraid of dogs today. Apparently I’m using this blog as a therapy session today.) So, what are some of the myths, legends or scary stories that stick with you from childhood...or that you tell your children?


Anonymous said...

Johnny Begay and La Llorna are coming for you Amanda Woodson!! I am afraid of people with tape on their nose. They just give me the willys!!

tehaws said...

Sorry that my hometown spooks you so bad!. And I want you to know that Johnny I want my liver back was MY story first- the younger Bryan just picked it up where he I left off - but I pretty sure I was not the uncle who explained the veggie's affects on female mammary growth.

Thanks for your support this last weekend. It meant a great deal to me to have you come and be a part of the day. We love you and Bettie and glad to see the skinwalkers did not get to you while here.


Anonymous said...

Records of crystals, kept here for reference:
Record 1
For Pr2MnH12Rh3, DFT lattice parameters and positions (GGA-PBE) gives the calculated powder X-ray diffraction pattern in this record (Cu Kα (λ = 1.5418 Å)).
Neutral-atom scattering factors, no anomalous dispersion.

Atomic structure:
```
data_Pr2MnH12Rh3
_chemical_formula_sum 'Pr6 Mn3 H36 Rh9'
_space_group_name_H-M_alt 'R -3 m'
_space_group_IT_number 166
_space_group_name_Hall '-R 3 2"'
_cell_length_a 6.2820
_cell_length_b 6.2820
_cell_length_c 14.3102
_cell_angle_alpha 90.00
_cell_angle_beta 90.00
_cell_angle_gamma 120.00
loop_
_atom_site_label
_atom_site_fract_x
_atom_site_fract_y
_atom_site_fract_z
Pr1 0.0000 0.0000 0.1220
Mn1 0.0000 0.0000 0.5000
H1 0.0231 0.5115 0.1191
H2 0.0309 0.5154 0.3432
Rh1 0.0000 0.5000 0.0000
```

Main lines, by angle (15° ≤ 2θ ≤ 90°):
2θ 28.4, 3.141 Å, I = 34, hkl 1 1 0
2θ 29.9, 2.989 Å, I = 62, hkl 1 0 4
2θ 33.5, 2.672 Å, I = 93, hkl 0 2 1
2θ 34.2, 2.623 Å, I = 100, hkl 1 1 3
2θ 35.3, 2.543 Å, I = 54, hkl 2 0 2
2θ 35.4, 2.533 Å, I = 53, hkl 0 1 5
2θ 51.2, 1.783 Å, I = 28, hkl 2 1 4
2θ 55.0, 1.670 Å, I = 29, hkl 1 2 5
2θ 58.8, 1.571 Å, I = 37, hkl 2 2 0
2θ 62.1, 1.495 Å, I = 30, hkl 2 0 8

---

Record 2
For MnHPt3, DFT lattice parameters and positions (GGA-PBE) gives the calculated powder X-ray diffraction pattern in this record (Cu Kα (λ = 1.5418 Å)).
Neutral-atom scattering factors, no anomalous dispersion.

Atomic structure:
```
data_MnHPt3
_chemical_formula_sum 'Mn2 H2 Pt6'
_space_group_name_H-M_alt 'P m n 21'
_space_group_IT_number 31
_space_group_name_Hall 'P 2ac -2'
_cell_length_a 5.667
_cell_length_b 4.059
_cell_length_c 5.657
_cell_angle_alpha 90.00
_cell_angle_beta 90.00
_cell_angle_gamma 90.00
loop_
_atom_site_label
_atom_site_fract_x
_atom_site_fract_y
_atom_site_fract_z
Mn1 0.000 0.015 0.000
H1 0.000 0.725 0.711
Pt1 0.000 0.022 0.481
Pt2 0.241 0.522 0.244
```

Main lines, by angle (15° ≤ 2θ ≤ 90°):
2θ 22.2, 4.004 Å, I = 10, hkl 1 0 1
2θ 31.4, 2.850 Å, I = 8, hkl 1 1 1
2θ 38.8, 2.322 Å, I = 100, hkl 2 1 0
2θ 44.6, 2.030 Å, I = 16, hkl 0 2 0
2θ 45.3, 2.002 Å, I = 33, hkl 2 0 2
2θ 65.5, 1.425 Å, I = 20, hkl 2 2 2
2θ 65.9, 1.417 Å, I = 5, hkl 4 0 0
2θ 66.1, 1.414 Å, I = 5, hkl 0 0 4
2θ 78.3, 1.221 Å, I = 11, hkl 2 3 0
2θ 79.3, 1.209 Å, I = 25, hkl 4 1 2

---

Record 3
For Rb3MnH8, DFT lattice parameters and positions (GGA-PBE) gives the calculated powder X-ray diffraction pattern in this record (Cu Kα (λ = 1.5418 Å)).
Neutral-atom scattering factors, no anomalous dispersion.

Atomic structure:
```
data_Rb3MnH8
_chemical_formula_sum 'Rb6 Mn2 H16'
_space_group_name_H-M_alt 'P 63 m c'
_space_group_IT_number 186
_space_group_name_Hall 'P 6c -2c'
_cell_length_a 8.1398
_cell_length_b 8.1398
_cell_length_c 6.5736
_cell_angle_alpha 90.00
_cell_angle_beta 90.00
_cell_angle_gamma 120.00
loop_
_atom_site_label
_atom_site_fract_x
_atom_site_fract_y
_atom_site_fract_z
Rb1 0.1674 0.3349 0.0000
Mn1 0.3333 0.6667 0.4968
H1 0.0000 0.0000 0.2500
H2 0.1679 0.5839 0.3297
H3 0.2222 0.4443 0.5506

I got you covered on the skinwalker front. Johnny Begay knows better than to come after me, and those I am with. La Llorna is another story. And uncle Brian did that to all of us but, after hearing Brandon say "Johhny I want my liver back" I was less scary and more funny.

## Calculated crystals from another source follow
____________
# 1
Starting from a GGA-PBE-relaxed structure, the PXRD pattern of Tb5HgBi2 was calculated for copper Kα.

Principal peaks in the range 15 to 90 degrees two-theta, in order of rising 2θ:
two_theta, I (rel.)
30.03, 51.2
30.70, 61.9
30.96, 34.5
33.17, 100.0
35.44, 23.3
37.12, 15.1
44.16, 26.4
54.16, 22.7
56.17, 22.6
63.55, 15.9

Structural model:
abc: 6.575 6.575 14.484
angles: 90.00 90.00 127.41
Fractional coordinates of all 16 atoms:
Tb 0.070 0.930 0.603
Tb 0.070 0.930 0.897
Tb 0.378 0.622 0.550
Tb 0.378 0.622 0.950
Tb 0.420 0.580 0.250
Tb 0.580 0.420 0.750
Tb 0.622 0.378 0.050
Tb 0.622 0.378 0.450
Tb 0.930 0.070 0.103
Tb 0.930 0.070 0.397
Hg 0.289 0.711 0.750
Hg 0.711 0.289 0.250
Bi 0.201 0.799 0.116
Bi 0.201 0.799 0.384
Bi 0.799 0.201 0.616
Bi 0.799 0.201 0.884



# 2
Starting from a GGA-PBE-relaxed structure, the PXRD pattern of Pu6IrPt4 was calculated for copper Kα.

Principal peaks in the range 15 to 90 degrees two-theta, in order of rising 2θ:
two_theta, I (rel.)
31.91, 44.6
33.63, 93.1
34.26, 56.0
35.90, 100.0
39.21, 82.3
41.20, 31.8
45.26, 36.7
46.02, 43.3
57.97, 29.9
68.54, 32.1

Structural model:
abc: 8.816 8.816 8.816
angles: 142.51 142.51 54.07
Fractional coordinates of all 11 atoms:
Pu 0.000 0.500 0.500
Pu 0.018 0.629 0.000
Pu 0.371 0.371 0.388
Pu 0.500 0.000 0.500
Pu 0.629 0.018 0.000
Pu 0.982 0.982 0.612
Ir 0.000 0.000 0.000
Pt 0.181 0.181 0.634
Pt 0.453 0.819 0.000
Pt 0.547 0.547 0.366
Pt 0.819 0.453 0.000



# 3
Starting from a GGA-PBE-relaxed structure, the PXRD pattern of KCo2Cl5 was calculated for copper Kα.

Principal peaks in the range 15 to 90 degrees two-theta, in order of rising 2θ:
two_theta, I (rel.)
17.87, 74.0
19.47, 45.9
25.55, 100.0
33.23, 25.4
34.45, 70.1
40.35, 38.2
43.38, 41.4
50.24, 27.7
54.08, 29.7
62.34, 27.0

Structural model:
abc: 8.641 8.641 11.543
angles: 90.00 90.00 144.94
Fractional coordinates of all 16 atoms:
K 0.072 0.928 0.750
K 0.928 0.072 0.250
Co 0.214 0.786 0.093
Co 0.214 0.786 0.407
Co 0.786 0.214 0.593
Co 0.786 0.214 0.907
Cl 0.082 0.918 0.087
Cl 0.082 0.918 0.413
Cl 0.274 0.726 0.583
Cl 0.274 0.726 0.917
Cl 0.305 0.695 0.250
Cl 0.695 0.305 0.750
Cl 0.726 0.274 0.083
Cl 0.726 0.274 0.417
Cl 0.918 0.082 0.587
Cl 0.918 0.082 0.913



# 4
Starting from a GGA-PBE-relaxed structure, the PXRD pattern of Ga3GePt8 was calculated for copper Kα.

Principal peaks in the range 15 to 90 degrees two-theta, in order of rising 2θ:
two_theta, I (rel.)
29.12, 12.8
35.06, 24.0
35.22, 23.1
37.23, 11.5
38.80, 65.4
40.35, 100.0
40.54, 26.4
44.02, 45.2
46.80, 13.5
47.18, 13.4

Structural model:
abc: 5.621 4.114 7.994
angles: 90.00 90.43 90.00
Fractional coordinates of all 12 atoms:
Ga 0.000 0.000 0.000
Ga 0.090 0.500 0.509
Ga 0.600 0.500 0.789
Ge 0.497 0.000 0.291
Pt 0.147 0.500 0.829
Pt 0.253 0.500 0.202
Pt 0.347 0.000 0.599
Pt 0.455 0.000 0.970
Pt 0.639 0.500 0.465
Pt 0.758 0.500 0.095
Pt 0.848 0.000 0.691
Pt 0.944 0.000 0.324



# 5
____________
## Back to the piece

Courtney said...

One of my biggest fears was LaLlorna also, since I grew up in NM too. I think it started with my brother hearing the stories at boy scout camp. That name still freaks me out. I can't believe I was even able to type it. Just reading it on your post gave me the chills.